# Assignment
It remains to find "8.088 Ni" and "382" in the listing below, and give back these two lines and those between.
# Data
<<<
(1)
The following is a computed XRD peak list of EuSnP. It was derived from a cell relaxed with GGA-PBE, using Cu Kα (λ = 1.5418 Å).
Intensities are scaled so that the largest is 1000.

Atomic structure:
```
EuSnP
1.0
4.275 0.000 0.000
0.000 4.275 0.000
0.000 0.000 8.748
Eu Sn P
2 2 2
Cartesian
1.069 1.069 1.476 Eu
3.206 3.206 7.272 Eu
1.069 1.069 4.818 Sn
3.206 3.206 3.930 Sn
1.069 1.069 7.321 P
3.206 3.206 1.428 P
```

Largest 10 diffraction maxima, in order of rising 2θ, 2θ = 10–90°:
| 2θ (°) | intensity |
| --- | --- |
| 23.2 | 175 |
| 29.2 | 671 |
| 29.6 | 1000 |
| 30.7 | 314 |
| 42.3 | 378 |
| 43.1 | 492 |
| 52.2 | 287 |
| 53.1 | 265 |
| 69.5 | 176 |
| 77.9 | 177 |



(2)
The following is a computed XRD peak list of Ac3PmNi8. It was derived from a cell relaxed with GGA-PBE, using Cu Kα (λ = 1.5418 Å).
Intensities are scaled so that the largest is 1000.

Atomic structure:
```
Ac3PmNi8
1.0
2.651 1.530 8.685
-2.651 1.530 8.685
0.000 -3.061 8.685
Ac Pm Ni
3 1 8
Cartesian
0.000 0.000 0.000 Ac
0.000 0.000 3.291 Ac
0.000 0.000 16.146 Ac
0.000 0.000 12.927 Pm
0.000 -1.536 5.887 Ni
-1.330 0.768 5.887 Ni
-1.323 -0.764 10.308 Ni
0.000 0.000 8.088 Ni
1.330 0.768 5.887 Ni
1.323 -0.764 10.308 Ni
0.000 1.527 10.308 Ni
0.000 0.000 21.131 Ni
```

Largest 10 diffraction maxima, in order of rising 2θ, 2θ = 10–90°:
| 2θ (°) | intensity |
| --- | --- |
| 20.5 | 244 |
| 33.8 | 734 |
| 39.8 | 1000 |
| 41.7 | 89 |
| 60.5 | 212 |
| 64.4 | 75 |
| 64.5 | 238 |
| 71.0 | 108 |
| 71.1 | 113 |
| 84.8 | 85 |



(3)
The following is a computed XRD peak list of KTl4Pd6. It was derived from a cell relaxed with GGA-PBE, using Cu Kα (λ = 1.5418 Å).
Intensities are scaled so that the largest is 1000.

Atomic structure:
```
KTl4Pd6
1.0
7.902 0.000 0.000
-3.951 6.843 0.000
0.000 0.000 4.340
K Tl Pd
1 4 6
Cartesian
0.000 0.000 0.000 K
0.000 4.562 0.000 Tl
2.299 1.327 2.170 Tl
5.602 1.327 2.170 Tl
3.951 4.188 2.170 Tl
0.000 2.852 2.170 Pd
-1.481 5.417 2.170 Pd
3.951 0.501 0.000 Pd
2.409 3.171 0.000 Pd
1.481 5.417 2.170 Pd
5.493 3.171 0.000 Pd
```

Largest 10 diffraction maxima, in order of rising 2θ, 2θ = 10–90°:
| 2θ (°) | intensity |
| --- | --- |
| 12.9 | 382 |
| 26.0 | 313 |
| 30.6 | 278 |
| 33.3 | 599 |
| 34.7 | 285 |
| 40.6 | 1000 |
| 41.6 | 320 |
| 44.9 | 255 |
| 45.9 | 266 |
| 72.4 | 241 |



(4)
The following is a computed XRD peak list of LiTi3P3O13. It was derived from a cell relaxed with GGA-PBE, using Cu Kα (λ = 1.5418 Å).
Intensities are scaled so that the largest is 1000.

Atomic structure:
```
LiTi3P3O13
1.0
7.657 0.000 0.000
0.000 6.379 0.000
-1.756 0.000 10.444
Li Ti P O
2 6 6 26
Cartesian
0.557 1.595 1.387 Li
5.344 4.784 9.057 Li
-0.348 1.595 8.431 Ti
1.380 4.784 4.679 Ti
3.828 0.000 0.000 Ti
3.828 3.189 0.000 Ti
4.521 1.595 5.765 Ti
6.249 4.784 2.013 Ti
1.300 4.784 1.312 P
0.373 4.784 8.031 P
1.224 1.595 5.422 P
4.677 4.784 5.022 P
5.528 1.595 2.413 P
4.600 1.595 9.132 P
-0.028 4.784 0.493 O
-0.544 3.574 8.312 O
-0.544 5.995 8.312 O
0.728 4.784 2.767 O
0.255 1.595 6.603 O
1.024 0.342 4.561 O
1.024 2.848 4.561 O
0.968 4.784 6.616 O
2.105 3.493 1.049 O
2.105 6.075 1.049 O
1.158 1.595 9.471 O
1.537 4.784 9.096 O
2.697 1.595 5.989 O
3.204 4.784 4.455 O
4.364 1.595 1.348 O
4.743 4.784 0.973 O
3.796 0.304 9.396 O
3.796 2.886 9.396 O
4.933 1.595 3.828 O
4.876 3.531 5.883 O
4.876 6.037 5.883 O
5.645 4.784 3.841 O
5.173 1.595 7.677 O
6.445 0.384 2.132 O
6.445 2.805 2.132 O
5.928 1.595 9.951 O
```

Largest 10 diffraction maxima, in order of rising 2θ, 2θ = 10–90°:
| 2θ (°) | intensity |
| --- | --- |
| 16.3 | 696 |
| 19.0 | 1000 |
| 22.2 | 412 |
| 23.6 | 936 |
| 26.4 | 802 |
| 28.0 | 685 |
| 29.2 | 594 |
| 30.0 | 545 |
| 31.9 | 472 |
| 32.2 | 695 |



(5)
The following is a computed XRD peak list of Be2Pd3Pt3. It was derived from a cell relaxed with GGA-PBE, using Cu Kα (λ = 1.5418 Å).
Intensities are scaled so that the largest is 1000.

Atomic structure:
```
Be2Pd3Pt3
1.0
6.781 0.000 0.000
-3.390 5.872 0.000
0.000 0.000 2.774
Be Pd Pt
2 3 3
Cartesian
>>>
# Outcome
0.000 0.000 8.088 Ni
1.330 0.768 5.887 Ni
1.323 -0.764 10.308 Ni
0.000 1.527 10.308 Ni
0.000 0.000 21.131 Ni
```

Largest 10 diffraction maxima, in order of rising 2θ, 2θ = 10–90°:
| 2θ (°) | intensity |
| --- | --- |
| 20.5 | 244 |
| 33.8 | 734 |
| 39.8 | 1000 |
| 41.7 | 89 |
| 60.5 | 212 |
| 64.4 | 75 |
| 64.5 | 238 |
| 71.0 | 108 |
| 71.1 | 113 |
| 84.8 | 85 |



(3)
The following is a computed XRD peak list of KTl4Pd6. It was derived from a cell relaxed with GGA-PBE, using Cu Kα (λ = 1.5418 Å).
Intensities are scaled so that the largest is 1000.

Atomic structure:
```
KTl4Pd6
1.0
7.902 0.000 0.000
-3.951 6.843 0.000
0.000 0.000 4.340
K Tl Pd
1 4 6
Cartesian
0.000 0.000 0.000 K
0.000 4.562 0.000 Tl
2.299 1.327 2.170 Tl
5.602 1.327 2.170 Tl
3.951 4.188 2.170 Tl
0.000 2.852 2.170 Pd
-1.481 5.417 2.170 Pd
3.951 0.501 0.000 Pd
2.409 3.171 0.000 Pd
1.481 5.417 2.170 Pd
5.493 3.171 0.000 Pd
```

Largest 10 diffraction maxima, in order of rising 2θ, 2θ = 10–90°:
| 2θ (°) | intensity |
| --- | --- |
| 12.9 | 382 |